(File)
____________
Record 1
Material: BaHf3Tc
Method: DFT, GGA-PBE
State: relaxed

It has space group Pm-3m (No. 221), with a = 5.167 Å, b = 5.167 Å, c = 5.167 Å, α = 90.00°, β = 90.00° and γ = 90.00°. The asymmetric unit holds Ba at (0.000, 0.000, 0.000), Hf at (0.000, 0.500, 0.500) and Tc at (0.500, 0.500, 0.500).

Its calculated formation energy is 0.384 eV/atom. The value obtained for the theoretical density is 9.3 g cm⁻³.

Record 2
Material: BaHfTc
Method: DFT, GGA-PBE
State: relaxed

It has space group P2_1/m (No. 11), with a = 3.639 Å, b = 3.671 Å, c = 12.766 Å, α = 90.00°, β = 97.67° and γ = 90.00°. The asymmetric unit holds Ba at (0.089, 0.250, 0.159), Hf at (0.218, 0.250, 0.431) and Tc at (0.320, 0.250, 0.649).

Its calculated formation energy is 0.082 eV/atom. The value obtained for the theoretical density is 8.1 g cm⁻³.

Record 3
Material: BaHfTc
Method: DFT, GGA-PBE
State: relaxed

It has space group Pm (No. 6), with a = 3.388 Å, b = 4.405 Å, c = 11.751 Å, α = 90.00°, β = 98.08° and γ = 90.00°. The asymmetric unit holds Ba at (0.000, 0.000, 0.000), Ba at (0.323, 0.500, 0.693), Hf at (0.693, 0.500, 0.248), Hf at (0.788, 0.000, 0.445), Tc at (0.203, 0.000, 0.251) and Tc at (0.296, 0.500, 0.442).

Its calculated formation energy is 0.096 eV/atom. The value obtained for the theoretical density is 7.9 g cm⁻³.


[1]
DFT (PBE) results for a geometry-optimized Mg2NiCl structure.

Properties
ΔE to the lowest computed polymorph   8.731 kcal/mol of atoms
Volume   83.3 Å³ per cell
Formation energy from raw total energies   -0.17 eV per atom
N(E_F)   2.5 states/eV/cell

Lattice parameters (Å, degrees): 3.129 3.129 8.508 90.00 90.00 90.00
Space group P4mm (No. 99)
Unique sites:
Mg1 0.000 0.000 0.000 (multiplicity 1)
Mg2 0.500 0.500 0.297 (multiplicity 1)
Ni1 0.000 0.000 0.455 (multiplicity 1)
Cl1 0.500 0.500 0.834 (multiplicity 1)

[2]
DFT (PBE) results for a geometry-optimized MgNiCl2 structure.

Properties
ΔE to the lowest computed polymorph   2.125 kcal/mol of atoms
Volume   86.0 Å³ per cell
Formation energy from raw total energies   -0.71 eV per atom

Lattice parameters (Å, degrees): 3.607 3.651 6.599 90.00 98.08 90.00
Space group Pm (No. 6)
Unique sites:
Mg1 0.000 0.000 0.000 (multiplicity 1)
Ni1 0.518 0.500 0.108 (multiplicity 1)
Cl1 0.269 0.500 0.788 (multiplicity 1)
Cl2 0.651 0.000 0.315 (multiplicity 1)

[3]
DFT (PBE) results for a geometry-optimized MgNiCl6 structure.

Properties
ΔE to the lowest computed polymorph   0.635 kcal/mol of atoms
Volume   517.8 Å³ per cell
Formation energy from raw total energies   -0.77 eV per atom

Lattice parameters (Å, degrees): 6.0889 6.0889 16.1275 90.00 90.00 120.00
Space group R-3 (No. 148, hexagonal axes)
Unique sites:
Mg1 0.0000 0.0000 0.0000 (multiplicity 3)
Ni1 0.0000 0.0000 0.5000 (multiplicity 3)
Cl1 0.0007 0.6956 0.4198 (multiplicity 18)

[4]
DFT (PBE) results for a geometry-optimized MgNiCl6 structure.

Properties
ΔE to the lowest computed polymorph   0.000 kcal/mol of atoms
Volume   405.0 Å³ per cell
Formation energy from raw total energies   -0.80 eV per atom
N(E_F)   6.6 states/eV/cell

Lattice parameters (Å, degrees): 6.055 11.815 6.036 90.00 110.28 90.00
Space group C2/m (No. 12)
Unique sites:
Mg1 0.000 0.000 0.000 (multiplicity 2)
Ni1 0.000 0.500 0.500 (multiplicity 2)
Cl1 0.225 0.500 0.275 (multiplicity 4)
Cl2 0.231 0.365 0.733 (multiplicity 8)


# CrCoPO2 | Alexandria via LeMat-Bulk | PBE with a Hubbard U | optimized geometry
data_CrCoPO2
_space_group_name_H-M_alt 'P 4/m m m'
_space_group_IT_number 123
_space_group_name_Hall '-P 4 2'
_cell_length_a 3.618
_cell_length_b 3.618
_cell_length_c 4.925
_cell_angle_alpha 90.00
_cell_angle_beta 90.00
_cell_angle_gamma 90.00
loop_
_atom_site_label
_atom_site_type_symbol
_atom_site_fract_x
_atom_site_fract_y
_atom_site_fract_z
Cr1 Cr 0.000 0.000 0.000
Co1 Co 0.500 0.500 0.500
P1 P 0.500 0.500 0.000
O1 O 0.000 0.500 0.500
# - Distance to the lowest polymorph of the same formula: 224 meV per atom
# - Spin magnetization: 1.2 μB per formula unit
____________

(Job)
Next, return every line further above that contains the word "Record".

(Result)
Record 1
Record 2
Record 3